Dutch Rabbits

The Dutch rabbit is deservedly one of the most popular pet breeds with its calm, easy-going nature, robust build and manageable size. They have a very gentle disposition and are excellent with children, most will happily submit to lots of cuddles. Dutch rabbits are friendly and intelligent and will thrive on attention.


Today Dutch remain one of the top 10 most popular rabbit breeds in the world. They are popular both as pets and show animals – not to mention as stars of rabbit product advertisements. The Dutch is one of the very best breeds for a child to start with due to its small size, general hardiness, and gentle disposition.


The Dutch is one of the easiest breeds to identify. It’s hard to say whether it appears to be a colored rabbit with white markings, or a white rabbit with colored markings, but either way, you can’t miss that wedge-shaped blaze on the nose and the two-toned body color.


Despite its popularity, the Dutch rabbit has not changed much over the years. The most striking aspect of the breed is the marking pattern.


The blaze is the wedge of white running up the rabbit's face. The saddle is the white “Jacket” that separates the color, from the white, on the rabbits back.




(Picture above is complements to  http://www.verlannahill.com/AboutDutch.htm)



Quote from Naomi Millburn a freelance writer:


“With their docile, laid –back and serene dispositions, Dutch rabbits are beloved as household pets. A good pet choice for kids 10 years of age and up, always keep a close watch on any interactions shared between younger children and Dutch rabbits, just to be cautious. Training Dutch rabbits usually is no biggie as they tend to be rather smart cookies. They thrive on regular interplay with humans, and are usually rather active and peppy in nature. Note that they often tend to become more and more biddable with the more contact they receive from people.”



(Naomi Millburn has been a freelance writer since 2011. Her areas of writing expertise include arts and crafts, literature, linguistics, traveling, fashion and European and East Asian cultures. She holds a Bachelor of Arts in American literature from Aoyama Gakuin University in Tokyo.)



-- These materials data were left in the entry by mistake --
- - -
## 1
VASP calculation (PBE+U) on a relaxed Ca4Mn3CrO11 crystal.

## Properties
**Space group**: Pmm2

a = 7.6605 Å, b = 7.6712 Å, c = 7.6527 Å
α = 90.00°, β = 90.00°, γ = 90.00°
Atoms (fractional coordinates):
Ca 0.2492 0.2502 0.0000
Ca 0.2492 0.7498 0.0000
Ca 0.2504 0.2481 0.4930
Ca 0.2504 0.7519 0.4930
Ca 0.7496 0.2481 0.4930
Ca 0.7496 0.7519 0.4930
Ca 0.7508 0.2502 0.0000
Ca 0.7508 0.7498 0.0000
Mn 0.0000 0.0000 0.2537
Mn 0.0000 0.5000 0.2438
Mn 0.5000 0.0000 0.2394
Mn 0.5000 0.0000 0.7513
Mn 0.5000 0.5000 0.2533
Mn 0.5000 0.5000 0.7382
Cr 0.0000 0.0000 0.7402
Cr 0.0000 0.5000 0.7505
O 0.0000 0.0000 0.0005
O 0.0000 0.0000 0.4893
O 0.0000 0.2531 0.2651
O 0.0000 0.2598 0.7186
O 0.0000 0.5000 0.9890
O 0.0000 0.7402 0.7186
O 0.0000 0.7469 0.2651
O 0.2444 0.5000 0.7182
O 0.2471 0.5000 0.2652
O 0.2546 0.0000 0.2663
O 0.2587 0.0000 0.7160
O 0.5000 0.0000 0.9939
O 0.5000 0.2459 0.2667
O 0.5000 0.2463 0.7229
O 0.5000 0.5000 0.4952
O 0.5000 0.5000 0.9946
O 0.5000 0.7541 0.2667
O 0.5000 0.7537 0.7229
O 0.7413 0.0000 0.7160
O 0.7454 0.0000 0.2663
O 0.7529 0.5000 0.2652
O 0.7556 0.5000 0.7182



## 2
VASP calculation (PBE+U) on a relaxed Ca4Mn3CrO11 crystal.

## Properties
**Space group**: P1

a = 5.4248 Å, b = 10.8376 Å, c = 15.4970 Å
α = 89.55°, β = 89.76°, γ = 89.45°
Atoms (fractional coordinates):
Ca 0.0000 0.0000 0.0000
Ca 0.0010 0.5532 0.7552
Ca 0.0062 0.5135 0.0104
Ca 0.0078 0.5038 0.4878
Ca 0.0398 0.9949 0.7612
Ca 0.4924 0.7443 0.9993
Ca 0.4959 0.7717 0.7642
Ca 0.4998 0.7378 0.4871
Ca 0.5062 0.2711 0.0157
Ca 0.5070 0.2703 0.4827
Ca 0.5097 0.2967 0.2493
Ca 0.5122 0.7900 0.2436
Ca 0.5412 0.3157 0.7466
Ca 0.9890 0.0424 0.2417
Ca 0.9962 0.5450 0.2481
Ca 0.9970 0.0097 0.4756
Mn 0.0024 0.2708 0.3692
Mn 0.0030 0.7744 0.3708
Mn 0.0031 0.7765 0.1228
Mn 0.0080 0.2883 0.6199
Mn 0.0362 0.2802 0.8866
Mn 0.4941 0.0220 0.3618
Mn 0.4954 0.0256 0.1190
Mn 0.5018 0.5232 0.3702
Mn 0.5023 0.5257 0.6231
Mn 0.5033 0.5250 0.1262
Mn 0.5122 0.5175 0.8758
Mn 0.9988 0.2740 0.1268
Cr 0.4869 0.0126 0.8778
Cr 0.6263 0.0406 0.6398
Cr 0.9778 0.7592 0.6181
Cr 0.9986 0.7669 0.8786
O 0.0690 0.7701 0.7439
O 0.0821 0.2598 0.2470
O 0.0831 0.7683 0.2474
O 0.1772 0.1223 0.8738
O 0.2013 0.6250 0.5940
O 0.2082 0.1321 0.0984
O 0.2153 0.6317 0.3925
O 0.2161 0.6148 0.8958
O 0.2233 0.6351 0.1037
O 0.2242 0.1314 0.3876
O 0.2804 0.3857 0.1089
O 0.2810 0.3832 0.3888
O 0.2896 0.8722 0.8914
O 0.2917 0.8828 0.3979
O 0.2931 0.8828 0.0944
O 0.3390 0.3564 0.6156
O 0.3487 0.3584 0.8815
O 0.4187 0.0087 0.2382
O 0.4263 0.5232 0.7485
O 0.4280 0.5197 0.2487
O 0.4509 0.9989 0.7356
O 0.4858 0.0632 0.5401
O 0.5780 0.5206 0.4973
O 0.5792 0.5196 0.9995
O 0.5795 0.0574 0.9906
O 0.6594 0.6923 0.6356
O 0.7066 0.1715 0.1450
O 0.7141 0.1648 0.3579
O 0.7142 0.6692 0.3537
O 0.7163 0.6574 0.8571
O 0.7219 0.6671 0.1437
O 0.7815 0.9163 0.8589
O 0.7877 0.4177 0.1478
O 0.7889 0.4148 0.3533
O 0.7944 0.9221 0.1381
O 0.7936 0.9218 0.3528
O 0.8047 0.4350 0.6487
O 0.8112 0.1662 0.6898
O 0.8164 0.4035 0.8449
- - -

Facts about Dutch rabbits!


Colors in Dutch include: Grey, Steel, Tortoise (Tort, which can include lilac tort, and blue tort), Black, Blue, Chocolate, Yellow, and Chinchilla.


Average size: 3-5 1/2 pounds


The gestation period for a Dutch rabbit is usually between 28-32 days.


Average size of litter is around 6 kits.


Kits are born blind and eyes will open anywhere between 7-14 days.


Dutch rabbits are one of the oldest breeds of domestic rabbit!


It is said that the Dutch Rabbit originated from Holland.